Copy only the last part of the contents below, starting with the line that has "the lowest".

'''
(1)
Computed, not measured: a molecular structure, C17H19CuNO4P2, with wB97M-V/def2-TZVPD.

Properties
Electronic energy (hartree): -3338.26561
ΔE to the lowest compared entry with this formula, charge and spin (kcal per mole): 4.4
Gap between HOMO and LUMO (eV): 7.03
Net charge: -1
LUMO energy (eV): 2.14

XYZ file:
```
44
Properties=species:S:1:pos:R:3:forces:R:3:nbo_charge:R:1
Cu -0.256 0.368 -0.992 0.2 -0.3 0.2 0.79
O 0.113 7.154 -1.944 0.0 0.0 -0.1 -0.74
C 1.111 6.424 -2.061 0.0 0.0 0.2 0.73
O 2.290 6.698 -2.358 0.0 0.0 -0.1 -0.76
C 0.859 4.923 -1.757 0.0 0.0 0.0 -0.06
C 1.898 4.005 -1.862 0.0 0.0 0.0 -0.24
C 1.657 2.675 -1.588 0.0 0.0 0.1 0.02
N 0.454 2.220 -1.223 -0.1 0.3 -0.2 -0.59
C -0.559 3.097 -1.119 0.0 0.0 -0.1 0.08
C -0.389 4.447 -1.374 0.0 0.0 0.0 -0.20
C -1.922 2.519 -0.709 0.1 -0.1 0.2 0.74
O -2.831 3.295 -0.465 -0.1 0.0 0.0 -0.66
O -1.974 1.233 -0.621 -0.2 0.2 -0.1 -0.88
H 2.875 4.366 -2.153 0.0 0.0 0.0 0.25
H 2.445 1.933 -1.645 0.0 0.0 0.0 0.18
H -1.221 5.129 -1.278 0.0 0.0 0.0 0.27
C 0.819 -0.661 3.354 0.0 0.0 0.0 -0.93
P -0.095 -0.426 1.771 -0.1 0.1 0.0 0.79
C -1.664 0.282 2.393 0.0 0.0 0.0 -0.94
C -0.614 -2.167 1.425 0.0 0.1 0.0 -0.21
C -1.257 -2.945 2.381 0.0 0.0 0.0 -0.22
C -1.683 -4.234 2.098 0.0 0.0 0.0 -0.21
C -1.465 -4.763 0.836 0.0 0.0 0.0 -0.21
C -0.813 -4.005 -0.126 0.0 0.0 0.0 -0.21
C -0.380 -2.710 0.153 0.0 0.0 -0.1 -0.37
P 0.451 -1.661 -1.106 -0.1 -0.1 -0.1 0.81
C 0.304 -2.623 -2.654 0.0 0.0 0.1 -0.95
C 2.219 -1.943 -0.721 0.0 0.0 0.0 -0.94
H 0.236 -1.183 4.114 0.0 0.0 0.0 0.21
H 1.091 0.323 3.739 0.0 0.0 0.0 0.24
H 1.739 -1.217 3.166 0.0 0.0 0.0 0.23
H -2.104 -0.316 3.195 0.0 0.0 0.0 0.20
H -2.358 0.370 1.557 0.0 0.0 0.0 0.29
H -1.468 1.290 2.762 0.0 0.0 0.0 0.24
H -1.444 -2.535 3.367 0.0 0.0 0.0 0.21
H -2.191 -4.818 2.856 0.0 0.0 0.0 0.21
H -1.802 -5.764 0.597 0.0 0.0 0.0 0.21
H -0.652 -4.435 -1.105 0.0 0.0 0.0 0.21
H -0.736 -2.677 -2.974 0.0 0.0 0.0 0.25
H 0.718 -3.628 -2.559 0.0 0.0 0.0 0.21
H 0.863 -2.083 -3.418 0.0 0.0 0.0 0.25
H 2.433 -3.006 -0.599 0.0 0.0 0.0 0.22
H 2.488 -1.408 0.190 0.0 0.0 0.0 0.24
H 2.813 -1.543 -1.544 0.0 0.0 0.0 0.24
```
Forces are in eV/Å.

(2)
Computed, not measured: a molecular structure, C17H19CuO2P, with wB97M-V/def2-TZVPD.

Properties
Electronic energy (hartree): -2790.75866
Gap between HOMO and LUMO (spin up / spin down) (eV): 5.50 / 4.41
Net charge: +2
2S+1: 2
<S²>: 0.75
LUMO energy (spin up / spin down) (eV): -9.12 / -10.21

XYZ file:
```
40
Properties=species:S:1:pos:R:3:forces:R:3:nbo_charge:R:1
C -2.896 0.861 1.218 -0.2 0.1 -0.2 -0.61
C -3.341 0.308 -0.144 0.1 -0.3 0.1 -0.75
P -2.205 0.637 -1.512 -0.1 0.2 0.5 1.42
C -1.387 2.241 -1.525 0.4 -0.1 -0.1 -0.76
C -0.399 2.459 -0.348 -0.5 0.3 -0.2 -0.60
C -0.981 -0.682 -1.771 -0.3 0.1 0.0 -0.58
C -0.642 -1.019 -3.035 -0.2 -0.1 0.2 -0.19
C 0.400 -2.096 -3.221 0.3 0.2 0.5 0.42
O 0.365 -2.818 -4.171 -0.1 -0.4 -0.9 -0.39
C 1.371 -2.240 -2.119 -0.1 0.2 0.0 -0.22
C 1.070 -1.895 -0.862 0.7 -0.1 0.1 -0.02
C 2.075 -2.013 0.257 -0.3 0.0 0.3 -0.46
C 2.049 -0.862 1.239 0.2 0.4 0.0 -0.08
C 2.957 0.187 1.052 -0.3 0.3 0.3 -0.16
C 2.981 1.271 1.930 -0.3 -0.1 0.2 -0.21
C 2.107 1.325 3.014 -0.1 -0.7 -0.4 -0.19
C 1.213 0.271 3.212 0.2 0.1 -0.3 -0.20
C 1.184 -0.813 2.334 0.2 0.4 0.1 -0.22
C -0.294 -1.409 -0.606 0.1 0.5 -0.4 0.46
O -0.928 -1.579 0.401 -0.4 -0.3 0.6 -0.48
H -2.919 1.943 1.219 0.1 0.2 0.1 0.23
H -1.925 0.483 1.511 0.2 0.0 0.1 0.24
H -3.628 0.527 1.946 -0.1 -0.1 0.1 0.27
H -4.321 0.679 -0.434 -0.1 0.2 -0.1 0.29
H -3.439 -0.775 -0.078 0.0 -0.1 -0.1 0.26
H -0.837 2.294 -2.464 0.0 -0.1 -0.2 0.28
H -2.158 3.006 -1.574 -0.2 0.1 0.1 0.29
H 0.122 1.561 -0.036 0.2 -0.1 0.1 0.22
H -0.929 2.889 0.490 -0.1 -0.1 0.3 0.24
H 0.309 3.210 -0.676 0.3 0.0 -0.1 0.26
H -1.101 -0.543 -3.890 0.0 -0.2 -0.4 0.28
H 2.326 -2.672 -2.375 0.1 -0.2 -0.1 0.28
H 1.963 -2.968 0.770 -0.1 -0.1 0.1 0.26
H 3.043 -2.030 -0.229 0.2 -0.1 0.0 0.25
H 3.665 0.177 0.236 0.0 -0.1 -0.1 0.21
H 3.688 2.075 1.801 0.1 0.0 -0.1 0.23
'''

ΔE to the lowest compared entry with this formula, charge and spin (kcal per mole): 4.4
Gap between HOMO and LUMO (eV): 7.03
Net charge: -1
LUMO energy (eV): 2.14

XYZ file:
```
44
Properties=species:S:1:pos:R:3:forces:R:3:nbo_charge:R:1
Cu -0.256 0.368 -0.992 0.2 -0.3 0.2 0.79
O 0.113 7.154 -1.944 0.0 0.0 -0.1 -0.74
C 1.111 6.424 -2.061 0.0 0.0 0.2 0.73
O 2.290 6.698 -2.358 0.0 0.0 -0.1 -0.76
C 0.859 4.923 -1.757 0.0 0.0 0.0 -0.06
C 1.898 4.005 -1.862 0.0 0.0 0.0 -0.24
C 1.657 2.675 -1.588 0.0 0.0 0.1 0.02
N 0.454 2.220 -1.223 -0.1 0.3 -0.2 -0.59
C -0.559 3.097 -1.119 0.0 0.0 -0.1 0.08
C -0.389 4.447 -1.374 0.0 0.0 0.0 -0.20
C -1.922 2.519 -0.709 0.1 -0.1 0.2 0.74
O -2.831 3.295 -0.465 -0.1 0.0 0.0 -0.66
O -1.974 1.233 -0.621 -0.2 0.2 -0.1 -0.88
H 2.875 4.366 -2.153 0.0 0.0 0.0 0.25
H 2.445 1.933 -1.645 0.0 0.0 0.0 0.18
H -1.221 5.129 -1.278 0.0 0.0 0.0 0.27
C 0.819 -0.661 3.354 0.0 0.0 0.0 -0.93
P -0.095 -0.426 1.771 -0.1 0.1 0.0 0.79
C -1.664 0.282 2.393 0.0 0.0 0.0 -0.94
C -0.614 -2.167 1.425 0.0 0.1 0.0 -0.21
C -1.257 -2.945 2.381 0.0 0.0 0.0 -0.22
C -1.683 -4.234 2.098 0.0 0.0 0.0 -0.21
C -1.465 -4.763 0.836 0.0 0.0 0.0 -0.21
C -0.813 -4.005 -0.126 0.0 0.0 0.0 -0.21
C -0.380 -2.710 0.153 0.0 0.0 -0.1 -0.37
P 0.451 -1.661 -1.106 -0.1 -0.1 -0.1 0.81
C 0.304 -2.623 -2.654 0.0 0.0 0.1 -0.95
C 2.219 -1.943 -0.721 0.0 0.0 0.0 -0.94
H 0.236 -1.183 4.114 0.0 0.0 0.0 0.21
H 1.091 0.323 3.739 0.0 0.0 0.0 0.24
H 1.739 -1.217 3.166 0.0 0.0 0.0 0.23
H -2.104 -0.316 3.195 0.0 0.0 0.0 0.20
H -2.358 0.370 1.557 0.0 0.0 0.0 0.29
H -1.468 1.290 2.762 0.0 0.0 0.0 0.24
H -1.444 -2.535 3.367 0.0 0.0 0.0 0.21
H -2.191 -4.818 2.856 0.0 0.0 0.0 0.21
H -1.802 -5.764 0.597 0.0 0.0 0.0 0.21
H -0.652 -4.435 -1.105 0.0 0.0 0.0 0.21
H -0.736 -2.677 -2.974 0.0 0.0 0.0 0.25
H 0.718 -3.628 -2.559 0.0 0.0 0.0 0.21
H 0.863 -2.083 -3.418 0.0 0.0 0.0 0.25
H 2.433 -3.006 -0.599 0.0 0.0 0.0 0.22
H 2.488 -1.408 0.190 0.0 0.0 0.0 0.24
H 2.813 -1.543 -1.544 0.0 0.0 0.0 0.24
```
Forces are in eV/Å.

(2)
Computed, not measured: a molecular structure, C17H19CuO2P, with wB97M-V/def2-TZVPD.

Properties
Electronic energy (hartree): -2790.75866
Gap between HOMO and LUMO (spin up / spin down) (eV): 5.50 / 4.41
Net charge: +2
2S+1: 2
<S²>: 0.75
LUMO energy (spin up / spin down) (eV): -9.12 / -10.21

XYZ file:
```
40
Properties=species:S:1:pos:R:3:forces:R:3:nbo_charge:R:1
C -2.896 0.861 1.218 -0.2 0.1 -0.2 -0.61
C -3.341 0.308 -0.144 0.1 -0.3 0.1 -0.75
P -2.205 0.637 -1.512 -0.1 0.2 0.5 1.42
C -1.387 2.241 -1.525 0.4 -0.1 -0.1 -0.76
C -0.399 2.459 -0.348 -0.5 0.3 -0.2 -0.60
C -0.981 -0.682 -1.771 -0.3 0.1 0.0 -0.58
C -0.642 -1.019 -3.035 -0.2 -0.1 0.2 -0.19
C 0.400 -2.096 -3.221 0.3 0.2 0.5 0.42
O 0.365 -2.818 -4.171 -0.1 -0.4 -0.9 -0.39
C 1.371 -2.240 -2.119 -0.1 0.2 0.0 -0.22
C 1.070 -1.895 -0.862 0.7 -0.1 0.1 -0.02
C 2.075 -2.013 0.257 -0.3 0.0 0.3 -0.46
C 2.049 -0.862 1.239 0.2 0.4 0.0 -0.08
C 2.957 0.187 1.052 -0.3 0.3 0.3 -0.16
C 2.981 1.271 1.930 -0.3 -0.1 0.2 -0.21
C 2.107 1.325 3.014 -0.1 -0.7 -0.4 -0.19
C 1.213 0.271 3.212 0.2 0.1 -0.3 -0.20
C 1.184 -0.813 2.334 0.2 0.4 0.1 -0.22
C -0.294 -1.409 -0.606 0.1 0.5 -0.4 0.46
O -0.928 -1.579 0.401 -0.4 -0.3 0.6 -0.48
H -2.919 1.943 1.219 0.1 0.2 0.1 0.23
H -1.925 0.483 1.511 0.2 0.0 0.1 0.24
H -3.628 0.527 1.946 -0.1 -0.1 0.1 0.27
H -4.321 0.679 -0.434 -0.1 0.2 -0.1 0.29
H -3.439 -0.775 -0.078 0.0 -0.1 -0.1 0.26
H -0.837 2.294 -2.464 0.0 -0.1 -0.2 0.28
H -2.158 3.006 -1.574 -0.2 0.1 0.1 0.29
H 0.122 1.561 -0.036 0.2 -0.1 0.1 0.22
H -0.929 2.889 0.490 -0.1 -0.1 0.3 0.24
H 0.309 3.210 -0.676 0.3 0.0 -0.1 0.26
H -1.101 -0.543 -3.890 0.0 -0.2 -0.4 0.28
H 2.326 -2.672 -2.375 0.1 -0.2 -0.1 0.28
H 1.963 -2.968 0.770 -0.1 -0.1 0.1 0.26
H 3.043 -2.030 -0.229 0.2 -0.1 0.0 0.25
H 3.665 0.177 0.236 0.0 -0.1 -0.1 0.21
H 3.688 2.075 1.801 0.1 0.0 -0.1 0.23